PHILLIPSBURG — Hoisington’s No. 2 state-ranked Christopher Ball (33-0, 152) won three matches to capture first place at the Phillipsburg Panther Classic. Ball defeated Abilene’s No. 5 ranked Trey Hoerner 5-0 in the finals. The Cardinals scored 56 points to place seventh.
No. 1 state-ranked Landen Urban (32-1, 285) lost his first match with a tight 9-8 decision against Norton’s No. 2 ranked Collyn Auker.
Cardinals Sean Urban (24-12, 160) and Jeremy Breit (22-13, 170) each placed fourth. Phillipsburg’s Mark Coomes defeated Sean Urban 3-2 for third place. Abilene’s Dauson Whiteley defeated Breit 16-1 for third place.
Team scores—1. Marysville 160.5; 2. Norton 150.5; 3. Abilene 132.5; 4. Oakley 91.5; 5. Smith Center 77.5; 6. Phillipsburg 66; 7. Hoisington 56; Hoxie 56; 9. Beloit 54; 10. Hill City 38; 11. TMP 33; 12. Ellsworth 16; 13. Stockton 3
-- begin --
Compound: Mg2ZnW
Source: Alexandria via LeMat-Bulk
Functional: PBE-GGA
Structure: relaxed

Geometry as extended XYZ:
```
4
Lattice="4.0145 0.0000 0.0000 0.0000 4.0145 0.0000 0.0000 0.0000 4.1450" Properties=species:S:1:pos:R:3 pbc="T T T"
Mg 0.0000 2.0073 0.0000
Mg 2.0073 0.0000 0.0000
Zn 0.0000 0.0000 2.0725
W 2.0073 2.0073 2.0725
```
-- stop --
113—Dylan Carrier 8-16; Skylar Johnson, Norton pinned Carrier, HHS, 0:41; Cole Whitehair, Abilene pinned Carrier, HHS, 2:29
126—Tanner Cassity (24-8); Devin Owen, Hill City pinned Cassity, HHS, 3:08; Kade Unterseher, Norton def. Cassity, HHS, 12-4
138–Carter Wessling, Beloit pinned Dustin Edmonson, HHS, 2:17; Tyler Park, Oakley def. Edmonson, HHS, 5-2
152—Christopher Ball (33-0) 1st; Ball, HHS pinned Cory Mead, Oakley, 0:35; Ball, HHS pinned Weston Erbert, Norton, 3:35; 1st Place—Ball, HHS def. Trey Hoerner, Abilene, 5-0
160—Sean Urban (24-12) 4th; Mike Kasson, Norton def. Urban, HHS, 7-3; Urban, HHS def. Chase Ryan, Smith Center, 7-2; Urban, HHS def. Auston Holzmeister, Oakley, 11-3; 3rd Place—Mark Coomes, Phillipsburg def. Urban, HHS, 3-2
170—Jeremy Breit (22-13) 4th; Breit, HHS def. Colton Heskett, Hoxie, 12-4; Breit, HHS def. Dauson Whiteley, Abilene, 8-3; Kaden Meitler, Smith Center def. Breit, HHS, 6-4; Breit, HHS def. Darrell Gustin, Ellsworth, 7-6; 3rd Place—Whiteley, Abilene def. Breit, HHS, 16-1
182—Benjamin Schneider (12-15); Macoy Rains, Oakley def. Schneider HHS, 8-2; Hayden Wiltfong, Norton pinned Schneider, HHS, 2:39
195—Justin Umphrey (6-7); Gavin Lively, Norton pinned Umphrey, HHS, 1:24; Ethan Haase, Ellsworth pinned Umphrey, HHS, 1:51
220—Austin McHenry (26-7); Chris Cox, Oakley def. McHenry, HHS, injury; Connor Boxler, Phillipsburg def. McHenry, HHS, injury
285—Landen Urban (32-1) 2nd; Urban, HHS pinned Taye Washington, Hoxie, 0:53; 1st Place—Collyn Auker, Norton def. Urban, HHS, 9-8
Team scores—1. Beloit, 106; 2. Norton 96; 3. Abilene, 65; 4. Marysville 54; 5. Hoisington 50; 6. Hill City 43; 7. Smith Center 27; 8. Ellsworth 22; 9. TMP 20; 10. Lincoln 19; 11. Phillipsburg 17; 12. Oakley 16
What comes next are calculated crystals, not part of the page:
1.
16
Lattice="10.226 0.000 0.000 0.000 5.406 0.000 -1.606 0.000 5.701" Properties=species:S:1:pos:R:3 comment="Hf2TiTc, relaxed, DFT PBE-GGA" delta_e_f_ev_per_atom=0.021 final_energy_ev_per_atom=-9.52 relative_energy_mev_per_atom=241 pbc="T T T"
Hf 1.995 0.043 0.589
Hf 1.192 5.363 3.439
Hf 1.512 2.660 5.113
Hf 2.315 2.746 2.262
Hf 6.305 2.660 3.439
Hf 7.108 2.746 0.589
Hf 7.428 0.043 2.262
Hf 6.625 5.363 5.113
Ti -0.401 1.874 1.425
Ti -1.204 3.533 4.276
Ti 3.908 0.829 4.276
Ti 4.711 4.577 1.425
Tc -1.204 0.745 4.276
Tc -0.401 4.661 1.425
Tc 4.711 1.958 1.425
Tc 3.908 3.449 4.276

=====

2.
12
Lattice="4.532 0.000 0.000 0.000 10.094 0.000 0.000 0.000 4.584" Properties=species:S:1:pos:R:3 comment="HfTiTc, relaxed, DFT PBE-GGA" delta_e_f_ev_per_atom=-0.317 final_energy_ev_per_atom=-9.72 relative_energy_mev_per_atom=41 pbc="T T T"
Hf 0.000 0.989 1.146
Hf 0.000 9.105 3.438
Hf 2.266 4.058 3.438
Hf 2.266 6.036 1.146
Ti 0.000 4.005 1.146
Ti 0.000 6.089 3.438
Ti 2.266 1.042 3.438
Ti 2.266 9.052 1.146
Tc 0.000 2.505 3.438
Tc 0.000 7.589 1.146
Tc 2.266 2.542 1.146
Tc 2.266 7.552 3.438

=====

3.
16
Lattice="7.038 0.000 0.000 0.000 7.038 0.000 0.000 0.000 5.583" Properties=species:S:1:pos:R:3 comment="HfTiTc2, relaxed, DFT PBE-GGA" delta_e_f_ev_per_atom=0.263 final_energy_ev_per_atom=-9.38 pbc="T T T"
Hf 0.000 0.000 0.000
Hf 0.000 3.519 1.396
Hf 3.519 0.000 4.187
Hf 3.519 3.519 2.792
Ti 0.000 0.000 2.792
Ti 0.000 3.519 4.187
Ti 3.519 0.000 1.396
Ti 3.519 3.519 0.000
Tc 1.617 1.760 3.490
Tc 1.760 5.136 4.885
Tc 1.760 5.421 2.094
Tc 1.902 1.760 0.698
Tc 5.136 5.279 0.698
Tc 5.279 1.617 2.094
Tc 5.279 1.902 4.885
Tc 5.421 5.279 3.490

=====

4.
12
Lattice="4.385 0.000 0.000 0.000 9.951 0.000 0.000 0.000 4.777" Properties=species:S:1:pos:R:3 comment="HfTiTc, relaxed, DFT PBE-GGA" delta_e_f_ev_per_atom=-0.275 final_energy_ev_per_atom=-9.68 relative_energy_mev_per_atom=83 pbc="T T T"
Hf 0.000 2.443 1.194
Hf 0.000 7.508 3.583
Hf 2.193 2.533 3.583
Hf 2.193 7.418 1.194
Ti 0.000 0.590 3.583
Ti 0.000 9.361 1.194
Ti 2.193 4.385 1.194
Ti 2.193 5.566 3.583
Tc 0.000 4.166 3.583
Tc 0.000 5.785 1.194
Tc 2.193 0.809 1.194
Tc 2.193 9.142 3.583

=====

5.
6
Lattice="3.227 0.000 0.000 0.000 3.227 0.000 0.000 0.000 10.017" Properties=species:S:1:pos:R:3 comment="HfTiTc, relaxed, DFT PBE-GGA" delta_e_f_ev_per_atom=-0.332 final_energy_ev_per_atom=-9.74 relative_energy_mev_per_atom=27 pbc="T T T"
Hf 0.000 0.000 0.000
Hf 1.613 1.613 5.009
Ti 0.000 0.000 6.997
Ti 1.613 1.613 1.989
Tc 0.000 0.000 3.371
Tc 1.613 1.613 8.380

=====

6.
12
Lattice="9.976 0.000 0.000 0.000 4.490 0.000 -3.088 0.000 4.666" Properties=species:S:1:pos:R:3 comment="HfTiTc, relaxed, DFT PBE-GGA" delta_e_f_ev_per_atom=-0.341 final_energy_ev_per_atom=-9.75 relative_energy_mev_per_atom=18 pbc="T T T"
Hf 1.442 0.000 0.469
Hf 0.458 2.245 4.197
Hf 6.430 2.245 0.469
Hf 5.445 0.000 4.197
Ti -0.561 2.245 1.322
Ti 2.461 0.000 3.345
Ti 4.427 0.000 1.322
Ti 7.449 2.245 3.345
Tc -0.180 0.000 2.688
Tc 2.079 2.245 1.978
End of the calculated crystals:
126—Trey Byers (6-12); Stagemeyer, Norton pinned Byers, HHS, 1:22; Brooks, Abilene pinned Byers, HHS, 2:42; Ashbaugh Hill City pinned Byers, HHS, 6-12 0:33; Hazlett, Abilene pinned Byers, HHS, 0:43
138—Nicholas Long (0-9); Patterson, Norton pinned Long, HHS, 2:07; Beydler, Hill City pinned Long, HHS, 0:28
145—Dante Urban (6-7) 3rd; Schoenberger, M pinned Urban, HHS, 0:51; Meier, Beloit pinned Urban, HHS, 0:44; Urban, HHS pinned Rowh, Norton, 4:05
145B—Jack Williams (2-13) 4th; Scott, M pinned Williams, HHS, 1:08;
Sweat, Beloit pinned Williams,HHS, 1:37; Russell, Phillipsburg def. Jack Williams, HHS, 8-1; Williams, HHS def. Shirley, Oakley, 7-4
152—Brinntain Noah (11-4) 2nd; Noah, HHS def. Conn, Beloit, 7-2; Laun, Abilene def. Noah, HHS, 7-0; Noah, HHS pinned Ballman, M, 1:50
152B—Ethan Nichols (8-7) 2nd; Nichols, HHS pinned Jimmy He, TMP, 0:27; Nichols, HHS pinned Ellis, Norton, 1:36; Nollette, Oakley def. Nichols, HHS, 6-1; Nichols, HHS pinned Longnecker, Abilene, 4:35
285—Brody Nicholas (8-6) 3rd; Vacura, Norton pinned Nicholas, HHS, 2:13; Kimminau, Beloit pinned Nicholas, HHS, 4:13; Nicholas, HHS def. Colin Hinds, HHS, forfeit; Nicholas, HHS pinned Feldkamp, Lincoln 1:23
285B—Trevar Younger (5-6) 3rd; Easter, Beloit def. Younger, HHS, 2-0; Younger, HHS pinned Mueller, Ellsworth, 2:00; Staab, TMP pinned Younger, HHS, 1:00
Cardinal wrestler Ball first at Phillipsburg